THURSDAY Conversation – May 27 at 9:00 am
MONDAY Conversation – May 31 at 7:00 pm
Zoom –
Dracula, Luther and May 26 ??
What do Dracula, Martin Luther and May 26 have in common?
May 26th is a date prominent in the careers of both the fictional Dracula and the Reformation theologian Martin Luther.
Fans of the Transylvanian vampire probably know that May 26th is ‘World Dracula Day.’ For those fans, this is a ‘fang-tastic’ day. Bram Stoker’s ‘Dracula’ was published on this date in 1897.
Dracula (the original ‘bat’ man) birthed a variety of horror films featuring vampires, but also inspired the creation of other fictional creatures combining elements of the human and the super-natural.
While May 26 marked the beginning of Dracula’s fame and popularity, it marked the beginning of Martin Luther’s infamy and exile.
On May 26, 1521, a proclamation called the ‘Edict of Worms’ was made, banning all writings of Martin Luther. The Edict declared Luther to be a heretic and a criminal.
Four months earlier, Luther had been excommunicated from the Roman Catholic church. Luther had disagreed with the church’s selling of ‘letters of indulgence’ as a way of acquiring forgiveness of sins.
Luther also came into conflict with a church theology that said salvation depended on a combination of God’s mercy and human actions. Luther believed that salvation depended totally on the grace of God – salvation is from God alone.
Luther’s teachings were central to the emergence of the Reformation and the birth of new Protestant denominations, which eventually led to the creation of The United Church of Canada in 1925.
Materials data from another source follow:
┌──
Simulated X-ray diffraction stick pattern of CrNiP2O9 for Cu Ka, from a crystal structure in the Materials Project, relaxed with PBE+U.
Lines closer than 0.1° are merged.

Main lines, in order of rising 2θ (10° ≤ 2θ ≤ 80°):
2θ/deg  d/Å  Rel. int.  hkl
12.92  6.850  100  2 0 0
17.16  5.168  53  2 0 1
18.02  4.922  24  0 1 1
19.16  4.633  55  1 1 1
22.23  3.999  33  2 1 1
23.55  3.778  63  1 0 2
28.39  3.144  19  4 0 1
29.98  2.981  24  3 0 2
31.22  2.865  60  1 2 1
34.65  2.588  33  5 0 1
36.47  2.464  29  0 2 2
56.66  1.625  21  5 2 3

Crystal structure
```
data_CrNiP2O9
_symmetry_space_group_name_H-M 'P n m a'
_symmetry_Int_Tables_number 62
_cell_length_a 13.721
_cell_length_b 6.313
_cell_length_c 7.859
_cell_angle_alpha 90.00
_cell_angle_beta 90.00
_cell_angle_gamma 90.00
loop_
_symmetry_equiv_pos_as_xyz
'x,y,z'
'-x,-y,-z'
'-x+1/2,-y,z+1/2'
'x+1/2,y,-z+1/2'
'x+1/2,-y+1/2,-z+1/2'
'-x+1/2,y+1/2,z+1/2'
'-x,y+1/2,-z'
'x,-y+1/2,z'
loop_
_atom_site_label
_atom_site_type_symbol
_atom_site_fract_x
_atom_site_fract_y
_atom_site_fract_z
Cr1 Cr 0.117 0.250 0.148
Ni1 Ni 0.000 0.000 0.500
P1 P 0.060 0.750 0.155
P2 P 0.191 0.750 0.610
O1 O 0.019 0.750 0.340
O2 O 0.023 0.250 0.977
O3 O 0.055 0.250 0.336
O4 O 0.125 0.554 0.134
O5 O 0.129 0.549 0.601
O6 O 0.225 0.250 0.975
O7 O 0.243 0.250 0.273
```



Simulated X-ray diffraction stick pattern of MgVSnO4 for Cu Ka, from a crystal structure in the Materials Project, relaxed with PBE+U.
Lines closer than 0.1° are merged.

Main lines, in order of rising 2θ (10° ≤ 2θ ≤ 80°):
2θ/deg  d/Å  Rel. int.  hkl
16.95  5.232  76  0 0 1
23.82  3.735  56  1 0 -1
24.35  3.656  55  1 0 1
33.46  2.678  100  1 1 0
34.27  2.617  19  0 0 2
34.38  2.608  29  2 0 0
37.57  2.394  33  1 1 -1
38.90  2.315  18  2 0 1
48.39  1.881  62  1 1 -2
48.96  1.860  49  1 1 2
49.89  1.828  20  2 0 2
61.00  1.519  23  3 1 0

Crystal structure
```
data_MgVSnO4
_symmetry_space_group_name_H-M 'P 1 2/m 1'
_symmetry_Int_Tables_number 10
_cell_length_a 5.218
_cell_length_b 3.119
_cell_length_c 5.235
_cell_angle_alpha 90.00
_cell_angle_beta 91.23
_cell_angle_gamma 90.00
loop_
_symmetry_equiv_pos_as_xyz
'x,y,z'
'-x,-y,-z'
'-x,y,-z'
'x,-y,z'
loop_
_atom_site_label
_atom_site_type_symbol
_atom_site_fract_x
_atom_site_fract_y
_atom_site_fract_z
Mg1 Mg 0.000 0.000 0.000
V1 V 0.000 0.000 0.500
Sn1 Sn 0.500 0.500 0.000
O1 O 0.151 0.500 0.769
O2 O 0.329 0.000 0.206
```



Simulated X-ray diffraction stick pattern of Li2V4O5F8 for Cu Ka, from a crystal structure in the Materials Project, relaxed with PBE+U.
Lines closer than 0.1° are merged.

Main lines, in order of rising 2θ (10° ≤ 2θ ≤ 80°):
2θ/deg  d/Å  Rel. int.  hkl
14.53  6.097  100  2 0 0
17.07  5.193  52  0 0 2
25.18  3.537  47  1 1 0
25.73  3.462  39  0 0 3
26.17  3.406  38  1 1 -1
28.92  3.087  36  4 0 -1
31.37  2.852  31  1 1 2
32.77  2.733  27  3 1 0
43.57  2.077  38  0 0 5
43.74  2.070  31  6 0 -1
49.31  1.848  30  0 2 0
67.89  1.381  16  0 2 5

Crystal structure
```
data_Li2V4O5F8
└──
From Dracula came a variety of fictional characters. From Martin Luther came a variety of denominations.
May 26 is a day of beginnings – the beginning of Dracula and the beginning of Luther’s ‘officially declared heretical’ theology finding new expression in new denominational communities.
May 26 can be a day of beginnings for all of us. This can be a day of beginning a deeper awareness of God’s grace in our lives and world, beginning new prayer and meditation practices.
Or, for fun we can mark ‘World Dracula Day’ by doing something ‘batty’.
And perhaps tomorrow or Monday, try an excursion into the online world of ZOOM, by joining TMUC’s weekly times of check-in and visiting – on Thursday from 9-10 a.m. – or this coming Monday from 7-8 p.m.
Here is the ZOOM link:
If you prefer to join us by being on a ‘Party-line’/’Conference Call’ style of phone call, the number to dial is: 204-272-7920
You will be asked if you want to ‘join a meeting’, (say yes), and then enter the meeting ID number: 753 844 9219
Also, this Sunday everyone is invited to the online celebration of the Prairie to Pine Region of the United Church becoming an Affirming ministry.
Here is the invitation included in the weekly Regional email:
All the people of the Regional Council and beyond are invited to gather for Our Place in the Rainbow, a service of worship to celebrate Prairie to Pine becoming an Affirming ministry. Please discuss in your community of faith whether you wish to bring your entire community to this service.
10:00 AM-11:30 AM Sunday, May 30 at:
Please bring your communion elements. We will follow this with a Zoom dessert. Wear your Pride colours and bring a dessert such as PIE pie! We’ll visit and celebrate. Register in advance and you’ll receive the link by email automatically (remember to check your spam folder):
We look forward to seeing you again!
Carol and Jeff